Tonic Inhibition Deregulation May Be Key to Understanding Angelman Syndrome, Researchers Believe

Deregulation of the brain’s ability to filter real neural signals without becoming overloaded could be the key to understanding the variety and severity of symptoms experienced by Angelman syndrome patients, according to researchers.
Calculated molecules from another source follow =
~~~
# 1
19
Properties=species:S:1:pos:R:3:forces:R:3:lowdin_charge:R:1 method="wB97M-V/def2-TZVPD" e_lumo_ev=0.52 gap_ha=0.3182 smiles="CP(=O)=P(C)(C)C" homo_ev=-8.14 de_lowest_kcal_mol=39.92 largest_force_ev_per_a=6.360
C 0.2494 2.8578 0.1415 -3.27 -0.18 0.19 -0.387
P 1.1303 1.6584 1.3543 0.96 0.90 -2.04 0.588
O 0.2409 1.4530 2.4979 -1.13 -0.20 1.29 -0.567
P 0.2433 -0.2998 -0.1140 -0.31 -2.46 0.18 0.803
C -1.2048 -0.8613 0.9477 -1.81 -0.45 -0.91 -0.282
C 1.2162 -1.9580 0.1677 -2.09 0.43 -5.99 -0.249
C -0.2375 -0.6441 -1.9039 1.49 2.89 0.20 -0.280
H 0.5096 2.8347 -0.9059 0.57 -0.44 -0.36 -0.012
H 0.2998 3.9221 0.3918 0.40 -0.15 0.54 0.004
H -0.9438 2.6816 0.1218 2.53 0.11 0.28 0.071
H -2.3022 -0.7979 0.5088 2.41 -0.46 0.20 0.084
H -0.9480 -1.9084 1.2856 -0.72 1.21 -0.30 0.041
H -1.3389 -0.1998 1.7927 0.62 0.12 0.46 -0.006
H 2.2168 -1.9680 -0.2440 0.18 0.20 -0.14 0.026
H 1.2322 -2.2081 1.1211 0.11 -0.93 4.57 -0.044
H 0.5869 -2.8033 -0.4121 1.37 1.89 1.25 0.096
H 0.7530 -0.5526 -2.4734 -1.43 -1.36 0.58 0.069
H -0.9564 -1.4311 -1.9330 0.30 -1.17 -0.48 0.021
H -0.7468 0.2249 -2.3445 -0.18 0.04 0.48 0.025



# 2
18
Properties=species:S:1:pos:R:3:forces:R:3:lowdin_charge:R:1 method="wB97M-V/def2-TZVPD" e_lumo_ev=0.85 gap_ha=0.3596 smiles=CCO.CCS homo_ev=-8.94 de_lowest_kcal_mol=29.02 largest_force_ev_per_a=1.420
C 1.7701 -0.1299 -0.9895 -0.63 -0.78 1.00 -0.087
C 2.5415 -0.7117 0.2218 -0.33 0.34 -0.33 -0.301
O 2.5861 0.2558 1.2825 0.80 -0.27 -0.03 -0.098
H 0.8212 -0.6694 -0.9229 0.01 0.41 -0.63 -0.025
H 1.5277 0.9197 -0.8344 0.32 0.09 -0.05 0.068
H 2.1856 -0.3038 -1.9780 0.32 0.04 0.11 0.067
H 3.5436 -1.0631 -0.0228 0.11 0.13 -0.12 0.103
H 1.9685 -1.5717 0.5760 0.17 -0.14 0.07 0.097
H 3.4117 0.0751 1.7619 -0.57 0.27 -0.06 0.081
C -1.9074 1.3762 0.3545 -0.99 0.25 0.05 -0.160
C -2.6119 0.0206 0.2709 0.59 -1.20 0.27 -0.569
S -1.6508 -1.3481 -0.5442 -0.06 0.26 0.16 0.691
H -1.4399 1.5283 1.3226 0.08 -0.08 0.07 0.068
H -2.7522 2.0678 0.2761 0.42 0.46 0.11 0.066
H -1.1779 1.6452 -0.4053 -0.12 -0.42 -0.25 0.061
H -2.7368 -0.4018 1.2680 0.00 0.30 0.13 0.045
H -3.6282 0.0705 -0.1057 0.14 0.06 -0.51 0.061
H -2.4511 -1.7596 -1.5316 -0.27 0.28 0.02 -0.170
~~~
End of the calculated molecules =
The study, “Pathophysiological impact of diverse dysregulation of tonic inhibition in Angelman syndrome,” was presented by Kiyoshi Egawa, MD, PhD, at the recent 2018 ASF/Dup15q Research Symposium in Chapel Hill, North Carolina.
Angelman syndrome is a genetic neurological disorder caused by the loss or malfunction of the maternal copy of the UBE3A gene — which provides instructions for making an enzyme called ubiquitin protein ligase E3A that normally targets other proteins to be destroyed.
In the absence of a functional maternal UBE3A, the brain’s ability to correctly identify excitatory and inhibitory neural signals without being overloaded — a process known as tonic inhibition — is affected, causing the typical symptoms associated with Angelman syndrome, including seizures, impaired movement, and cognitive delays.
Excitatory and inhibitory neural signals are the “yin and yang” of the brain. Excitatory signaling from one nerve cell to the next makes the latter cell more likely to fire an electrical signal. Inhibitory signaling makes the latter cell less likely to fire. This is the basis of communication between nerve cells in the brain.
GABA (γ-aminobutyric acid) is the main inhibitory neurotransmitter, or neural signal, in the brain. This chemical works by preventing excessive neuronal activity, directly regulating tonic inhibition. To exert its inhibitory function, GABA needs to pass through specific channels located on the surface of neurons, called GABAA receptors.
These receptors are composed of five subunits surrounding a central channel that can only be opened in the presence of GABA. Depending on the specific region of a neuron’s membrane in which these GABAA receptors are inserted, the inhibitory responses produced can be shorter or longer.
Recent studies performed in mice genetically modified to have an inactive UBE3A gene showed these animals lacked tonic inhibition regulated by GABAA receptors. In addition, different subunits of GABAA receptors contribute differently to tonic inhibition.
Because tonic inhibition is controlled differently in different regions of the brain, researchers have now evaluated tonic inhibition in various regions of the brain in an Angelman syndrome mouse model.
These animals had reduced tonic inhibition in neurons of the hippocampus and cortex — regions of the brain associated with emotion, memory, perception, and cognition — but not in neurons from the thalamus, an area involved in relaying motor signals and regulating consciousness, sleep, and alertness.
Since a specific subunit of the GABAA receptor, called α5, is only expressed in the hippocampus and cortex, scientists hypothesize that increasing its activity, using molecules called positive allosteric modulators for the α5 subunit containing GABAA receptors (PAM-α5GABAaR), may help improve Angelman symptoms.
The team is currently testing this possibility by administering PAM-α5GABAaR to mice that lack UBE3A and comparing its effectiveness with gaboxadol (OV101) — which increases tonic inhibition on a global scale in the brain — by evaluating cognitive dysfunction and brain activity via electroencephalogram (EEG).
“Our study can help interpretation of the result of [the] on-going clinical trial for OV101. If the compound we will try is effective, it can enforce the effect of OV101,” Egawa, from the Department of Pediatrics at Hokkaido University Graduate School of Medicine in Japan, told Angelman Syndrome News.
Researchers are also convinced the level of tonic inhibition deregulation can also vary in different genetic backgrounds associated with Angelman syndrome, because the deletion of the 15q11-13 region from chromosome 15 — reported in about 70 percent of cases — contains the genetic sequence encoding for the α5 subunit of the GABAA receptor.
To test this hypothesis, scientists have generated several lines of neurons derived from induced pluripotent stem cells (iPSCs) of patients with various genotypes of Angelman syndrome and healthy controls.
........
(1)
ORCA calculation (ωB97M-V/def2-TZVPD) on a 13-piece molecular cluster, C49H129ClN10O14 overall at a distorted geometry.

Geometry as ORCA input:
```
! wB97M-V def2-TZVPD RIJCOSX def2/J DEFGRID3
* xyz -2 1
Cl 2.751 4.965 1.867
C 1.082 -0.441 1.757
C 0.821 0.417 0.535
C 1.180 -0.444 -0.811
C 0.127 -1.400 -1.238
C -1.326 -0.841 -1.203
C -1.691 -0.102 0.132
N -0.578 0.903 0.410
O -0.936 1.934 1.403
C -1.849 -1.062 1.362
C -2.991 0.560 -0.205
C 1.803 1.685 0.501
H 0.357 -0.191 2.532
H 2.024 -0.211 2.254
H 0.971 -1.481 1.449
H 2.019 -1.117 -0.634
H 1.415 0.133 -1.706
H 0.190 -2.229 -0.533
H 0.259 -1.741 -2.264
H -2.014 -1.673 -1.354
H -1.464 -0.138 -2.025
H -1.079 -1.833 1.319
H -2.774 -1.631 1.273
H -1.841 -0.576 2.337
H -3.356 1.139 0.643
H -3.799 -0.078 -0.563
H -2.884 1.261 -1.032
H 1.674 2.334 1.367
H 1.457 2.278 -0.346
H 2.866 1.452 0.454
C 3.680 -3.579 2.580
C 3.492 -4.957 3.220
C 2.645 -4.826 4.577
O 2.474 -6.034 5.315
C 1.422 -5.944 6.360
N 2.738 -5.855 2.351
H 4.607 -3.633 2.009
H 3.970 -2.778 3.260
H 2.749 -3.295 2.089
H 4.482 -5.395 3.351
H 1.746 -4.263 4.325
H 3.290 -4.228 5.220
H 1.684 -5.183 7.095
H 1.306 -6.848 6.957
H 0.473 -5.596 5.954
H 2.486 -6.726 2.796
H 3.339 -6.092 1.574
C 1.474 -4.948 -1.709
C 2.685 -4.312 -2.429
C 3.738 -3.762 -1.434
O 4.857 -3.172 -2.119
C 5.796 -2.502 -1.262
N 3.244 -5.308 -3.286
H 0.773 -5.232 -2.494
H 1.023 -4.181 -1.080
H 1.611 -5.883 -1.165
H 2.306 -3.505 -3.057
H 4.046 -4.568 -0.768
H 3.224 -2.981 -0.874
H 6.673 -2.253 -1.860
H 6.216 -3.220 -0.557
H 5.428 -1.592 -0.787
H 3.686 -5.936 -2.630
H 4.094 -5.054 -3.769
C -1.179 -3.728 3.876
C -1.777 -4.783 2.964
C -1.553 -4.537 1.434
O -1.830 -5.701 0.634
C -2.114 -5.433 -0.728
N -1.180 -6.040 3.377
H -0.150 -3.520 3.585
H -1.121 -3.968 4.938
H -1.812 -2.842 3.832
H -2.863 -4.832 3.046
H -0.548 -4.221 1.155
H -2.183 -3.733 1.055
H -2.198 -6.376 -1.267
H -1.218 -4.938 -1.102
H -2.929 -4.779 -1.040
H -0.252 -6.120 2.986
H -1.646 -6.804 2.909
C 5.228 2.892 -1.557
C 5.874 3.553 -2.763
C 6.373 4.984 -2.334
O 6.932 5.618 -3.505
C 7.603 6.850 -3.195
N 6.973 2.793 -3.360
H 5.939 2.623 -0.776
H 4.726 1.985 -1.892
H 4.397 3.464 -1.145
H 5.182 3.712 -3.591
H 7.172 4.873 -1.601
H 5.599 5.674 -1.998
H 8.073 7.271 -4.084
H 8.464 6.707 -2.541
H 6.869 7.552 -2.801
H 7.638 2.629 -2.617
H 7.408 3.567 -3.842
C -2.359 -4.402 -4.062
C -1.888 -3.430 -5.186
C -0.907 -2.341 -4.602
O -0.615 -1.135 -5.315
C 0.557 -1.346 -6.175
N -1.389 -4.139 -6.294
H -2.853 -3.841 -3.268
H -1.582 -5.022 -3.615
H -3.114 -5.016 -4.553
H -2.777 -2.815 -5.326
H -0.003 -2.764 -4.163
H -1.493 -1.948 -3.771
H 1.196 -0.466 -6.235
H 0.133 -1.522 -7.163
H 1.171 -2.204 -5.900
H -0.462 -4.349 -5.954
H -1.263 -3.463 -7.034
C 2.251 -1.594 5.555
C 3.401 -0.717 5.982
C 3.037 -0.136 7.426
O 1.996 0.811 7.170
C 1.795 1.593 8.340
N 4.627 -1.605 5.936
H 1.221 -1.355 5.821
H 2.413 -2.596 5.952
H 2.148 -1.694 4.474
H 3.611 0.065 5.252
H 3.932 0.328 7.839
H 2.606 -0.962 7.991
H 0.831 2.078 8.494
H 2.563 2.362 8.418
........
The team is now testing these neurons in the laboratory and is already preparing to study their inhibitory functions.
At this point, investigators are confident that understanding the different mechanisms that contribute to the deregulation of tonic inhibition could be essential in explaining the variety and severity of symptoms experienced by patients with Angelman syndrome.